I think as a web professional I would want anything but this. I even tend to dislike using apt-get for every package on my server. Some things need a tender loving hand with careful consideration during configuration (I'm a poet and I didn't even know it).
You can't really build a one-size-fits-all distribution for everyone. Sure you can get a basic LAMP stack setup, but 1) is that what you really want in a PHP situation and 2) not everyone is rolling a simple PHP website these days.
If what you're trying to solve is the problem with "scalability" then a Distro isn't gonna help. A carefully constructed architecture and implementation is what will. I personally tend to shy away from a big cluster of apt-get installations in favor of installing certain things straight from source. You can bet that all of the huge sites out there are rolling their own too.. Facebook has their own version of Apache and so do companies like Yahoo.
I think something like this might be good for simple in-house development and testing, but again, not everyone's needs are the same. I totally love server configuration, and oftentimes it gives me a real nice break from coding and designing. There is nothing more fun and satisfying than getting a new server up in just a few hours configured to the best of my abilities.
Whateva hopefully these comments make sense. Been up all night and running on adderall and mcdonalds.
You can build your own packages, with whatever tweaks you want built in. The thing is once you get past a certain size, you've got too many servers to be treating them as individuals.
And if you're past 4 machines you really want to start looking at cfengine.
; You acknowledge that system administration takes time and effort. If you have more than some 10-15 machines, you ought to automate the work of keeping them in sync. You want to minimize effort of administration.
; You install something along the lines of puppet from http://reductivelabs.com and use that to manage your server infrastructure.
; You install a monitoring suite for the infrastructure. Ganglia is popular when the servers are forming a cluster.
With the above, any reasonable operating system will work, be it .deb/.rpm based linux distros, *BSD, or OSX (I honestly don't know how to do this properly in Windows).
I'm actually working on something like this in my free time for Ubuntu flavors. I've been trying to figure out how to get some funding for it so I can focus on it, but I'm not sure if it's a service I should try to charge users for (automated customization of Ubuntu linux flavor live/installcds).
I figure that once I have a proof-of-concept I can show it to people who might be willing to invest in it so I could afford to host it somewhere and so on.
Right now I'm focusing on package installation / removal, but I plan on adding the ability to put some stuff in your home folder for first user creation, and upload specific configuration files.
Can a distro really hope to do much more than this apt-get one-liner can?
Yeah, you could install an improved collection of prewired config files for everything so that all the tools are better integrated out of the box. But given that each web 2.0 app probably has a unique configuration, which requires a sysadmin to hand-edit all of those config files anyway, is it really going to save that much time? Configuration space is kind of large. The odds that the prewired configuration is a close match to the one you want may be fairly low.
And if your code doesn't need a custom configuration of servers, but is designed to run on some kind of standard server-farm-in-a-box configuration (with, at most, minor tweaks of a couple of config files), why are you even installing your own distros? Aren't there hosting companies that run farms of standardized boxes that your app can be designed to, and that will handle the provision and administration of those boxes for a monthly fee? Kind of like the Google App Engine business model? I haven't done business with such a company, but I've been presuming they exist. Isn't this how (e.g.) Engine Yard works?
The potential problem with the distro idea is that it sits between these two business models (bespoke setups by your own sysadmin on the one hand, one-stop shopping for standardized architectures, standardized server farms, and standardized sysadmins on the other). Is there much daylight between the two?
Deprec (http://www.deprec.org/) takes you from a clean ubuntu install to a live rails site, and claims to support heartbeat/linux-ha and multiple servers, as well as some misc handy stuff like ntp. (I've only used it to manage a simple single server.)
"It's a limited market." Fantastic! That's the perfect reason to do something like this. Sadly I don't think anyone will be doing it in one night, I believe that this is a realistic request. The whole point of Linux (and Unix before it) is to have a group of tools, a toolbox if you will, that can be easily refactored, reorganized and redeployed to fit the problems you face. What he is asking for is a toolbox that comes with the tools he wants from the start, and he can't find a Sears that carries it. The only issue I have with the whole thing is I wish he would do it, not ask others to solve his problems for him.
Which company? One of the companies that already make a distribution of Linux? I'm sorry, but I don't understand whose responsibility you believe it to be to create this distribution.
As the author of the article alluded to, if it were to get made, it would probably get made by hobbyists.
Ya, I was not seeing this as a company thing. I don't believe that a Linux distribution is a smart way to start a company(although it has been done), I think it would be a fun project if I had the time though.
A larger site can usually afford to staff up in ways that smaller sites can't.
So, someone needs to make a Linux distribution targeted explicitly to those companies that currently spend as little as possible on their infrastructure. I smell a hugely profitable business model.
The point has already been made that the vast majority of "small to medium businesses" do not need scalability (not even a little bit--90% of those businesses could be hosted on a $10/month shared hosting account and never have a performance problem). So, we're talking about a tiny subset of an extremely cost-conscious market. Not only that, for the small businesses that do need scaling (the Twitters and the Justin.TVs), the vast majority of their scaling problems cannot be solved by adding a few applications like memcache and a pre-tuned MySQL to the distribution. Your application has to be built to scale, or you will not scale. The tuning of MySQL is trivial (and case-by-case specific, to boot...there is no way to say any particular MySQL configuration is good for all high performance use cases that balances all of the usual tradeoffs, and as much as there can be such a configuration the one provided by most distros is already pretty close to it).
You could ask me how I know, with some confidence, that web scalabilty for small to medium businesses is a bad business idea, or I could just blurt out that my first business built web scalability products for small to medium businesses. It took me seven years to figure out that they don't have any money, and that they don't know enough to know to look at the niche solutions for their problems (they call Cisco, or F5 if they're really on the technical ball), so when they do spend money, they're spending it with companies that provide a huge range of products that are sort of ancillary to the task at hand...and also happen to have a few items in their product line that can sort of address the problem, if you squint right and send them enough money. Not that I'm bitter. (Seriously, I'm actually not bitter. Just amused when folks take the "pick a problem that you have, and chances are others will have it too, and there's your perfect business idea!" to an extreme that doesn't quite mesh with reality.)
There may be the seed of a good idea in there somewhere. But building yet another Linux distribution is just dumb as rocks. And I mean that in the nicest possible way.
Yeah, I kind of figured, but I've spent the last three years growing a decidedly unsexy web-app from 1 webserver and two database machines to the small fleet of machines it is today; and if there were an extant distribution that took some of the pain away I would be on top of it. But as you say it's somewhat hard to get people to spend money on server operating systems.
The real problem is that there is too much variation for widely usable solution to come to the fore. Basic webhosting has things like webmin or (yech!) Ensim, that package up the standard tasks in nifty web frontend. But managing a heterogeneous network of webservers and databases is still more difficult than it ought to be.
Thanks for the considered answer. I don't think anyone was thinking that this was a viable business; more just people wishing there were a solution to the problems they are dealing with.
and if there were an extant distribution that took some of the pain away I would be on top of it
The problem isn't that there isn't someone out there that would be happy to sell you "scaling in a box". The problem is that scaling is not a generic problem. You can't sell scaling in a box. Your application has to be built to scale, or it will not scale.
Tuning MySQL is trivial. Adding sharding to your application is the hard part, and no automated solution will know how to do that. The Django, RoR, and Catalyst/DBIx folks are all thinking about the problem, and they may be able to do something about it. Replication probably could be made easier. But it's a far less useful solution than it seems on the surface--if there were no latency, you could just use replication. But there is latency, and so you still need application level support to insure you don't ask for data that doesn't exist yet.
Basic webhosting has things like webmin or (yech!) Ensim
I'm really glad there was no "yech!" for Webmin, as I take that sort of thing personally. (Check my profile for why. And, we are thinking about these sorts of problems, and we're addressing the ones that can logically be addressed in a reasonably generic way.)
But managing a heterogeneous network of webservers and databases is still more difficult than it ought to be.
We're working on this, too (as are a couple dozen of our competitors). But scaling your application is still your problem to solve. While one could build (and Jamie and I are building) an application to manage multi-server deployments, no product can generically make an app scale.
Thanks for the considered answer. I don't think anyone was thinking that this was a viable business; more just people wishing there were a solution to the problems they are dealing with.
My feeling is that it's coming at it from way off in the wrong direction (another niche Linux distro...again, just couldn't be a dumber idea), not that there won't be money spent on scaling issues and multiple server related issues. I'll also point out that from where I sit (which I humbly submit is a position of reasonable knowledge of the industry) scaling is not the biggest problem facing hosting providers--not even close. They simply are not being asked to solve scaling problems--us nerds love to talk about scaling. It feels good to think about all those millions of requests that we'll be serving when we can scale up (ah, those magic words!), but in reality, the average website gets a handful of visitors a day and the average webserver could host 250 average websites without breaking a sweat.
But, a side effect of all of the work that is going into more efficiently making use of all the machines in a data center is that a few scaling problems will go away or be mitigated. Ramping up new "servers" in a cloud environment becomes trivial enough to do on-demand--when you need ten servers, you ask for them, and when you don't need them anymore, you drop them. Databases are getting more "cloud" oriented. SimpleDB, Hadoop, BigTable, CouchDB, are all looking at the database problem from a functional zero-side effects perspective, and the end result is a system where related queries can be made in parallel and sane results can be expected.
So, there are solutions to a lot of these kinds of problems coming...but they aren't what you expect (or even know you want yet) and they aren't drop-in "MySQL now goes ten times faster" solutions (nor are they, "every new MySQL server linearly increases my apps performance and I didn't have to do anything to my app"). Those kinds of silver bullets just do not exist, and won't exist.
Of course the first thing that is going to happen is htat you are going to have a batch of arguments:
Xen vs. VMWare vs. $virtualiser
cfengine vs. bcfg2 vs. $(cool_haskell_config_that_will_be_cool_as_soon_as_it_is_done)
dpkg vs. yum vs. rpm vs. $packagemanagerthatdoesnotsuck
Ubuntu vs. Fedora vs. $(my_favorite_distro) vs. BSD
emacs vs. vi #this one may be orthogonal
It would be nice if we had something that just routed around all of those arguments and helped to set up a straightforward way to manage multiple images as part of one security domain, with monitoring and rekeying baked in.
I don't understand: eucalyptus looks like an open-source implementation of EC2, so isn't the end-result a bunch of blank virtual boxes? Its server management system might make it easy to load new slices with your custom disk image, but if you have that image, why not just put it on EC2 and save yourself the hassle of running a utility company in your spare time?
(Loading pre-built images to ec2 seems like a good answer to the op's question; I know I've seen some built-to-purpose images around.)
eucalyptus is only one part of what Steve seems to be asking for.
Ideally you'd have one location where you define the services you're running and the variables you're monitoring and you'd be able to do things like rekey the entire cluster in one operation, set ACLs for resources that exist on multiple locations, schedule batch jobs by priority and deadline; and do all this while totally abstracting away CPUs, filesystems, networks and all of the messy and bothersome failure-prone hardware.
I don't understand exactly which version of Linux he's been deploying that makes this a time saver. You can install Linux with 95% of what you need (and nothing more) with plenty of distros, and one command gets you the rest of the way.
The rest of the work is custom (user access, software specific requirements, etc). I'm also the lead sys-admin for a dot-com company, and I think I can safely say I've NEVER had a Linux install that wasn't, in his words, something that I "can just deploy, configure and turn off what I don't need?"
I just had either a brilliant or a dumb (take your pick) idea that has sprouted from this thought.
It be cool if there was a site where you could just click the options you wanted and it would create a customised distro for you, without all the added extras?
I'm no linux guru and I dread the thought of having to set up a new system under linux. If there was a site where I could just pay a couple bucks for a customised distro for what I wanted (as its not always the same thing) that just worked, I would absolutely pay it.
I think this kind of approach may also help to increase the adoption rate of linux amongst less technically inclined people too.
EDIT - Sorry about the stream of conciousness, just noticed someone supplied a link for SUSE, is there anything similar for debian based systems? Ubuntu undoubtedly is getting the "lions share" off attention for linux systems, so is there anything like this for it?
Their "conary" package management system (developed by at least one of the same folks that were involved in RPM, presumably with a reasonable amount of confidence that RPM didn't really get it right) is designed for the construction of specific purpose distributions. It, obviously, hasn't taken the world by storm, so they seem to have evolved in a different direction of late, and also changed their name I'm pretty sure--though I can't remember what they used to be called (I could only remember the name "conary"). Anyway, technologically speaking conary is awe-inspiring. But, I'm not using it...so obviously, it's not providing value that I can figure out a use for.
Well, for our web-services server, stock Ubuntu Server and a 50 line script does the trick. I have one tarball that I scp over, and it handles setting up accounts, installing the right packages, applying a config-files diff, setting up rc.local and starting the web-services.
I'm planning on setting it up eventually so that it'll automatically clone from the most recent backup of our databases.
I wish there existed, and looked for, tools to manage such a roll-out, but really, it was only a few hours of work to get everything set up. VMWare is your friend there for testing the script, fixing, rolling back to the fresh-installed point, wash, rinse, repeat.
I think that what software you use has little to do with scaling a huge site. The biggest obstacle is how your data is organized and accessed. This is different for every application. If you can't get the data schema right then what software you have doesn't matter. That's assuming you're huge. If you're not huge then just build something and don't lose focus trying to build something that can handle 100 million users when you have 100.
It lets you create customised OpenSuSE-based images for deployment/installation. It would be fairly easy to construct the distro you've got in mind, you'll just get the added benefit of having everything kept up to date for you.
Will every startup have the same requirements? What if I want nginx instead of apache and so forth? You are always going to want some customization, if you are on EC2 then you can just create an AMI and I think there is some way to save these distributions otherwise.
You can't really build a one-size-fits-all distribution for everyone. Sure you can get a basic LAMP stack setup, but 1) is that what you really want in a PHP situation and 2) not everyone is rolling a simple PHP website these days.
If what you're trying to solve is the problem with "scalability" then a Distro isn't gonna help. A carefully constructed architecture and implementation is what will. I personally tend to shy away from a big cluster of apt-get installations in favor of installing certain things straight from source. You can bet that all of the huge sites out there are rolling their own too.. Facebook has their own version of Apache and so do companies like Yahoo.
== The article is interrupted by calculated crystals ==
<<<
OsS2 | OQMD via LeMat-Bulk | PBE | relaxed; total magnetization = 0.1 μB/cell; E_tot = -4.5551 eV/atom; space-group type = Fd-3m (227)
1.0
0.000 3.516 3.516
3.516 0.000 3.516
3.516 3.516 0.000
Os S
2 4
direct
0.125 0.125 0.125
0.875 0.875 0.875
0.000 0.500 0.500
0.500 0.000 0.500
0.500 0.500 0.000
0.500 0.500 0.500

----------

! Mn2CrAs2, relaxed, DFT PBE; values from VASP
! * E above lowest polymorph: 0 meV/atom
! * crystal system: tetragonal
! * DOS(E_F): 5.8 states/eV/cell
&SYSTEM
  ibrav = 0, nat = 10, ntyp = 3
/
ATOMIC_SPECIES
Mn 54.94 Mn.upf
Cr 52.00 Cr.upf
As 74.92 As.upf
CELL_PARAMETERS angstrom
6.650 0.000 0.000
0.000 6.650 0.000
0.000 0.000 3.301
ATOMIC_POSITIONS crystal
Mn 0.143 0.357 0.000
Mn 0.357 0.857 0.000
Mn 0.643 0.143 0.000
Mn 0.857 0.643 0.000
Cr 0.000 0.000 0.500
Cr 0.500 0.500 0.500
As 0.155 0.655 0.500
As 0.345 0.155 0.500
As 0.655 0.845 0.500
As 0.845 0.345 0.500

! ZrBeHg2, relaxed, DFT PBE; values from VASP
! * crystal system: monoclinic
! * DOS(E_F): 2.6 states/eV/cell
&SYSTEM
  ibrav = 0, nat = 4, ntyp = 3
/
ATOMIC_SPECIES
Zr 91.22 Zr.upf
Be 9.01 Be.upf
Hg 200.59 Hg.upf
CELL_PARAMETERS angstrom
4.817 -1.583 0.000
4.817 1.583 0.000
-1.744 0.000 5.068
ATOMIC_POSITIONS crystal
Zr 0.000 0.000 0.000
Be 0.500 0.500 0.500
Hg 0.218 0.218 0.716
Hg 0.782 0.782 0.284

! Ta2Re2Ru, relaxed, DFT PBE; values from VASP
! * E above lowest polymorph: 578 meV/atom
! * crystal system: tetragonal
! * DOS(E_F): 3.6 states/eV/cell
&SYSTEM
  ibrav = 0, nat = 5, ntyp = 3
/
ATOMIC_SPECIES
Ta 180.95 Ta.upf
Re 186.21 Re.upf
Ru 101.07 Ru.upf
CELL_PARAMETERS angstrom
-2.077 2.077 5.495
2.077 -2.077 5.495
2.077 2.077 -5.495
ATOMIC_POSITIONS crystal
Ta 0.250 0.750 0.500
Ta 0.750 0.250 0.500
Re 0.109 0.109 0.000
Re 0.891 0.891 0.000
Ru 0.500 0.500 0.000

! PmDyMgZr, relaxed, DFT PBE; values from VASP
! * crystal system: cubic
! * DOS(E_F): 5.1 states/eV/cell
&SYSTEM
  ibrav = 0, nat = 4, ntyp = 4
/
ATOMIC_SPECIES
Pm 145.00 Pm.upf
Dy 162.50 Dy.upf
Mg 24.30 Mg.upf
Zr 91.22 Zr.upf
CELL_PARAMETERS angstrom
0.000 3.811 3.811
3.811 0.000 3.811
3.811 3.811 0.000
ATOMIC_POSITIONS crystal
Pm 0.000 0.000 0.000
Dy 0.500 0.500 0.500
Mg 0.750 0.750 0.750
Zr 0.250 0.250 0.250

no.,energy of formation (eV per atom),spin magnetization (μB/f.u.),uncorrected energy (eV per atom)
1,0.0211,8.20,-7.431
2,0.2091,0.00,-3.010
3,0.9034,0.00,-10.672
4,0.1304,1.84,-4.743
>>>
I think something like this might be good for simple in-house development and testing, but again, not everyone's needs are the same. I totally love server configuration, and oftentimes it gives me a real nice break from coding and designing. There is nothing more fun and satisfying than getting a new server up in just a few hours configured to the best of my abilities.
Whateva hopefully these comments make sense. Been up all night and running on adderall and mcdonalds.